~~~
Entry 1:
Below is C44H47Cl2EuN2OS3 as an isolated structure, with properties calculated with the ωB97M-V functional and the def2-TZVPD basis.

Properties
lowest unoccupied orbital energy (spin up / spin down): -6.411 / -6.060 eV
ΔE to the lowest compared entry with this formula, charge and spin: 0.00 kcal/mol
2S+1: 7
strongest force on any atom: 0.00919 Eh/bohr
gap between HOMO and LUMO (spin up / spin down): 5.97 / 6.35 eV
total charge: +2

Last column: Löwdin charge in e.
CARTESIAN COORDINATES (ANGSTROEM)
Eu 0.15 -0.22 0.02  1.397
C 3.23 -2.04 0.25  -0.064
C 2.59 -2.66 1.50  -0.355
C 2.14 -4.09 1.24  -0.054
C 1.48 -1.76 2.01  -0.261
C 1.79 -0.48 2.49  -0.104
C 0.80 0.38 2.97  -0.074
C -0.55 -0.01 2.99  -0.330
C -1.61 0.86 3.59  -0.040
C -0.86 -1.28 2.51  -0.074
C 0.14 -2.15 2.05  -0.095
H 3.99 -2.71 -0.17  0.095
H 3.72 -1.09 0.47  0.055
H 2.48 -1.86 -0.53  0.039
H 3.35 -2.69 2.28  0.151
H 1.43 -4.14 0.41  0.071
H 1.69 -4.55 2.12  0.095
H 3.00 -4.70 0.97  0.093
H 2.82 -0.16 2.54  0.121
H 1.08 1.34 3.39  0.134
H -1.75 0.59 4.64  0.105
H -2.56 0.73 3.08  0.092
H -1.33 1.91 3.55  0.074
H -1.88 -1.63 2.55  0.135
H -0.13 -3.14 1.74  0.098
S 1.15 0.23 -2.63  0.693
C 2.32 1.43 -2.72  -0.644
N 2.60 2.08 -3.82  -0.072
C 3.69 3.06 -3.86  -0.070
C 4.82 2.55 -3.01  -0.071
N 4.31 2.32 -1.65  -0.074
C 5.23 2.73 -0.57  -0.095
C 5.38 4.23 -0.54  -0.232
C 4.26 5.03 -0.29  -0.041
C 4.39 6.41 -0.28  -0.062
C 5.63 7.00 -0.50  -0.062
C 6.74 6.20 -0.75  -0.057
C 6.61 4.82 -0.77  -0.041
C 3.12 1.81 -1.47  -0.644
S 2.45 1.58 0.06  0.663
C 1.89 1.88 -5.10  -0.094
C 2.77 1.15 -6.09  -0.226
C 3.17 1.78 -7.26  -0.040
C 3.99 1.12 -8.17  -0.057
C 4.42 -0.17 -7.90  -0.063
C 4.02 -0.80 -6.73  -0.066
C 3.20 -0.15 -5.83  -0.044
H 3.33 4.03 -3.51  0.153
H 4.01 3.16 -4.89  0.139
H 5.61 3.30 -2.95  0.138
H 5.23 1.63 -3.42  0.153
H 6.19 2.25 -0.76  0.140
H 4.84 2.34 0.37  0.085
H 3.30 4.57 -0.09  0.099
H 3.52 7.03 -0.07  0.111
H 5.73 8.07 -0.48  0.114
H 7.71 6.66 -0.92  0.115
H 7.49 4.20 -0.95  0.119
H 1.66 2.88 -5.48  0.139
H 0.96 1.36 -4.90  0.090
H 2.83 2.79 -7.47  0.119
H 4.30 1.62 -9.08  0.115
H 5.06 -0.68 -8.61  0.114
H 4.35 -1.82 -6.53  0.109
H 2.88 -0.65 -4.92  0.088
Cl -0.87 2.29 0.62  0.670
C -2.46 2.52 -0.12  -0.606
C -3.01 3.78 -0.02  -0.105
C -4.25 4.00 -0.59  -0.059
C -4.90 2.97 -1.24  -0.091
C -4.32 1.71 -1.32  -0.683
Cl -5.19 0.47 -2.14  0.700
C -3.06 1.44 -0.76  -0.707
S -2.36 -0.17 -0.85  0.515
H -2.47 4.57 0.49  0.112
H -4.71 4.98 -0.52  0.119
H -5.87 3.12 -1.68  0.115
C -2.92 -7.26 -4.08  -0.020
C -2.13 -6.11 -3.53  -0.208
C -1.08 -5.56 -4.25  0.015
C -0.34 -4.50 -3.76  -0.170
C 0.77 -3.94 -4.61  -0.033
C -0.68 -3.97 -2.48  -0.096
C 0.10 -2.88 -2.02  -0.170
O 0.00 -2.26 -0.94  -0.282
C -1.77 -4.52 -1.73  -0.155
C -2.18 -4.01 -0.38  -0.019
C -2.46 -5.58 -2.28  0.015
H -2.54 -7.59 -5.04  0.085
H -3.97 -6.98 -4.19  0.100
H -2.88 -8.11 -3.39  0.099
H -0.83 -5.97 -5.22  0.126
H 0.84 -4.51 -5.54  0.086
H 1.75 -4.01 -4.12  0.092
H 0.60 -2.90 -4.87  0.089
H 0.90 -2.56 -2.69  0.084
H -1.40 -4.21 0.36  0.078
H -3.09 -4.50 -0.06  0.092
H -2.36 -2.93 -0.39  0.034
H -3.29 -6.01 -1.72  0.132

=====

Entry 2:
Below is C44H47ClGe2N6OOsTe as an isolated structure, with properties calculated with the ωB97M-V functional and the def2-TZVPD basis.

Properties
lowest unoccupied orbital energy: -6.099 eV
ΔE to the lowest compared entry with this formula, charge and spin: 1.52 kcal/mol
strongest force on any atom: 0.01307 Eh/bohr
gap between HOMO and LUMO: 7.24 eV
total charge: +2

Last column: Löwdin charge in e.
CARTESIAN COORDINATES (ANGSTROEM)
Os 1.39 -1.53 -0.08  0.892
N 2.81 -0.44 3.73  0.079
C 1.74 -0.56 2.95  -0.081
N 2.14 -1.07 1.80  -0.058
C 3.49 -1.25 1.95  -0.293
N 3.93 -0.87 3.12  0.175
C 4.21 -1.84 0.84  -0.176
C 5.56 -2.13 0.83  -0.025
N 6.14 -2.73 -0.20  0.134
C 5.35 -3.07 -1.21  -0.056
C 3.99 -2.78 -1.23  -0.108
N 3.42 -2.13 -0.22  -0.113
H 2.86 -0.08 4.67  0.178
H 0.74 -0.26 3.21  0.109
H 6.18 -1.87 1.68  0.135
H 5.80 -3.60 -2.05  0.131
~~~
Type out the lines above from the one with "-2.56 0.73" to the one with "3.17 1.78" without additions.
H -2.56 0.73 3.08  0.092
H -1.33 1.91 3.55  0.074
H -1.88 -1.63 2.55  0.135
H -0.13 -3.14 1.74  0.098
S 1.15 0.23 -2.63  0.693
C 2.32 1.43 -2.72  -0.644
N 2.60 2.08 -3.82  -0.072
C 3.69 3.06 -3.86  -0.070
C 4.82 2.55 -3.01  -0.071
N 4.31 2.32 -1.65  -0.074
C 5.23 2.73 -0.57  -0.095
C 5.38 4.23 -0.54  -0.232
C 4.26 5.03 -0.29  -0.041
C 4.39 6.41 -0.28  -0.062
C 5.63 7.00 -0.50  -0.062
C 6.74 6.20 -0.75  -0.057
C 6.61 4.82 -0.77  -0.041
C 3.12 1.81 -1.47  -0.644
S 2.45 1.58 0.06  0.663
C 1.89 1.88 -5.10  -0.094
C 2.77 1.15 -6.09  -0.226
C 3.17 1.78 -7.26  -0.040